Tuesday, February 19, 2008

Our Weekend

Well, our weekend did not turn out as it was supposed to. I mentioned on Friday that we were headed up to Rocky Point to spend a couple of days. Michael's dad and step-mom have a house there and they were going to be out of town so we thought it would be fun to go up as a family and have some relax time. Of course I raced around on Thursday and Friday packing everything we would need clothes, food, snow stuff, etc. We headed out about 11 on Friday morning. It was such a beautiful sunny day and the drive up 140 was just great. There was a ton of snow on the sides of the road but the actual road was clear of any ice or snow. As we approached the road where the house is Michael's dad had told us to get a running start so that we could make it up the road. It was very hard to do that because of the snow banks on either side of the car but Michael did his best, and there we sat! Yes, we got stuck! The road was so icy and the snow was so high on the sides of us that we could not get any traction and if we did move we just would slide into a snow bank and get stuck. We did this for over and hour and let's just say Luke was not so happy with the noise coming from the tires spinning. He screamed in the car pretty much the whole time. Logan on the other hand did just great and had a little running commentary of what he thought we should do. "Maybe we should call a tow truck" he said. Thanks to a neighbor who hooked us up to his ATV we were free, but we did not dare try and head up the road again so we just had to turn around and head back home. We were so bummed because we were so looking forward to hanging out at the cabin in the snow. We did end up having a great weekend of just getting little projects done around the house, playing outside with the boys and on Sunday we took the boys to the fish hatchery and they had a great time. Hope you all have a great week!


Anonymous said...

Oh my goodness! The whole weekend I was picturing you guys up there enjoying family time. I'm glad it turned out ok! Miss you!

• Between two parts of the text: calculated molecules:
Entry P
2 unconnected molecules or ions with the total composition C3H7N2O, computed with ωB97M-V with the def2-TZVPD basis set.

Results
Total charge: +1
Gap between HOMO and LUMO, hartree: 0.42246

Cartesian coordinates (Å):
H1 0.977 0.193 -2.899
H2 0.779 -0.828 1.220
O1 -0.625 1.124 2.459
N1 1.300 -0.176 -0.756
H3 -1.649 -0.887 0.206
H4 2.294 0.003 -0.605
H5 -0.333 1.725 3.113
C1 0.570 -0.079 -1.932
N2 -0.739 -0.590 -0.250
C2 -0.739 -0.210 -1.595
H6 -0.655 0.311 2.955
C3 0.498 -0.538 0.232
H7 -1.678 -0.049 -2.146

Entry Q
A gas-phase ion, C3H7N2O (charge +1), computed with ωB97M-V with the def2-TZVPD basis set.

Results
Total charge: +1
Gap between HOMO and LUMO, hartree: 0.38426
SMILES: CC1=[NH+]CON1

Cartesian coordinates (Å):
C1 -1.659 -0.108 -0.157
H1 0.390 -0.142 -2.328
H2 2.853 -0.533 0.580
H3 -1.944 -1.035 0.441
H4 -2.152 0.722 0.233
O1 1.882 0.293 -1.152
H5 -2.181 -0.108 -1.124
N1 0.638 -0.041 0.829
H6 2.597 1.207 0.438
H7 0.355 -0.440 1.727
C2 2.107 0.160 0.217
C3 -0.190 -0.101 -0.206
N2 0.484 0.058 -1.357

Relative to the most stable one, in kcal/mol, the structures come out at entry P 0.0; entry Q 69.5.

Entry P
2 unconnected molecules or ions with the total composition C3H7N2O, computed with ωB97M-V with the def2-TZVPD basis set.

Results
Total charge: +1
Gap between HOMO and LUMO, hartree: 0.36795

Cartesian coordinates (Å):
H1 0.950 -0.589 -0.308
H2 0.221 -0.004 2.007
H3 -1.180 -0.488 -2.045
C1 -0.382 0.109 1.107
H4 -2.160 0.716 1.849
H5 -3.239 -0.836 -0.064
N1 -1.769 0.068 1.286
H6 4.363 0.213 -0.900
H7 3.251 1.279 -1.377
C2 -2.330 -0.329 0.082
N2 -0.042 -0.308 -0.173
O1 3.564 0.653 -0.605
C3 -1.248 -0.485 -0.860

Entry Q
A gas-phase ion, C3H7N2O (charge +1), computed with ωB97M-V with the def2-TZVPD basis set.

Results
Total charge: +1
Gap between HOMO and LUMO, hartree: 0.32429
SMILES: C=CCN[NH+]=O

Cartesian coordinates (Å):
H1 0.432 1.598 -0.914
O1 -0.383 1.103 2.738
N1 0.585 0.510 0.879
H2 -1.258 -2.294 -1.360
H3 -1.136 1.577 0.976
N2 -0.330 1.090 1.548
H4 -0.465 -2.053 0.298
C1 0.664 0.574 -0.642
H5 1.335 0.049 1.323
C2 -0.692 -1.615 -0.684
H6 1.762 0.408 -0.612
C3 -0.251 -0.486 -1.198
H7 -0.262 -0.460 -2.352

Relative to the most stable one, in kcal/mol, the structures come out at entry P 0.0; entry Q 77.8.

Entry P
C5H10OS2 in the gas phase, computed with ωB97M-V with the def2-TZVPD basis set.

Results
Gap between HOMO and LUMO, hartree: 0.36084
SMILES: C[C@@H](S)C[C@H](S)C=O

Cartesian coordinates (Å):
S1 -2.050 -0.439 -0.268
C1 0.652 -1.714 1.253
H1 -2.929 0.172 -1.075
O1 -0.002 2.559 -1.709
H2 -1.419 1.817 0.218
C2 0.283 0.799 0.697
C3 -0.476 1.458 -1.607
S2 1.509 -0.780 -1.268
H3 0.885 1.693 0.559
H4 -0.188 -2.135 0.719
H5 -0.901 0.915 -2.479
C4 -0.906 0.979 -0.195
H6 2.169 -0.180 0.934
H7 -0.042 0.775 1.716
H8 0.389 -1.503 2.264
H9 1.449 -2.473 1.223
C5 1.184 -0.440 0.491
H10 0.391 -1.502 -1.472

Entry Q
A molecular structure, C5H10OS2, computed with ωB97M-V with the def2-TZVPD basis set.

Results
• Back to the text:

Brandy said...

OMGosh! How frustrating and disappointing to get THAT far and SO close and not be able to stay! :( I am glad that you had a great weekend anyway! The fish hatchery sounds like fun. The boys would LOVE that! :D

Brandy said...

Hey! Sorry the cold made it's way to you guys!! :( That stinks. Yeah, I am staying away from stuff for a while too. We just can't risk them getting sick again before we leave. :(

We should set something up soon. Hopefully all the kiddos get better quick so we can get together. :D I'd hate to move without a visit with you! :(

Love ya!

Tam said...

That's tragic! Really, I'm serious! I've been wanting to go out of town for a little vacation since we got back from Chicago last June. So when I was reading this post I was dreaming it was us...then you turned around for home and my eyes leaked a little. Bummer!